Week 3
There are four main objectives to tackle this week
- Get the button to work
- Lengthen the flashing time of LED
- Make 3D printed spool
- Fit everything in the box
First, the button. As the first button was being hooked up, there was only success on either only the LED or the button, which should not be the case because even though they are now built as one they operate separately. The alligator clips only made things more confusing before the button was short-circuited due to exposed alligator clips. Smoky… Soldering the prongs to wires and heat shrinking the tubes will prevent what had just happened, good thing we have another button. But after messing around with that one, I may or may not have short-circuited it again. Hanna in the meantime worked on the spool on Solidworks. I edited the program to lengthen the flashing. After struggling with the button, I turned to Amy for help. We decided that the second button is indeed broken. So we moved to the third. This time correctly color coded according to the convention and the rest of my circuit. The button finally responded but a pull-down resistor needed to be added to the button, so Amy showed us a code that incorporates the pull-down resistor into the code.
After experimenting for a while, the button finally worked.
3) The 3D printed spool that Hanna made did not turn out well, but what we learned is that the original design was too big. And even though 3D printed parts are brittle you can indeed drill holes in them. So after coming up with the new dimension, Hanna went to remake the part on Solidworks. The part finished printing on Saturday, and it turned out well.
4) Even though objective four sounds like it should be the end, it actually happened before the spool was done. We realized during the week that the Arduino UNO, Breadboard, and battery were just a little big too big to fit comfortably inside the box. In the meantime, I became obsessed with the idea of shrinking the entire apparatus, but Hanna felt like it was unnecessary and wanted to shrink the spool and the battery pack. I felt like the idea of shrinking the apparatus was a great challenge and also satisfies my urge to keep everything simple, I decided to do it regardless. I looked up many sources on the internet and failed to program the Arduino pro mini until I found a way to program the mini with an UNO. It took a long time but I was happy when it finally said done uploading on the bottom of my Arduino programmer. Then I wanted to shrink the breadboard into a soldered protoboard. It is compact, wires can’t be disconnected and I can incorporate the Arduino pro mini into the board. This is as simple and compact as my knowledge allows me to make this project. After few hours of careful planning, soldering and color coding, the compact apparatus worked on the first try!!!!!!!!!!!!!!!!!!!!!!!!!!!!!!!!!!!!!!!!!!!!!!!!!!!!!!!!!!!!!!!!!!!!!!!!!!!!!!!!!!!!!!!! Since nothing worked on the first try on the project and I understand how careless of a human being I am, this is truly a miracle. Hanna drilled the holes on the box for the string and button to go through and I hot glued the parts to loosely hold it in place. YAY….
How it could be improved:
- The servo mount, currently the servo is hot glued on a PVC pipe that I cut to be a good height for the spool to not hit the bottom or the top of the box.
- The position of the battery pack is hard to reach when the batteries need to be switched out.
- The battery pack could be replaced with one single 9V battery, which could be placed in a more accessible spot and be more compact, but one concern is that 1.5V batteries are more accessible in daily life in general.
- the placement of the hole for the string to go through the bottom is slightly off, which causes the string to rub on the edge of the hole. This could be prevented by drilling the hole that is on the tangent line of the spool that perpendicularly intersects the bottom of the box.
- Even though the Arduino Mini pro consumes way lower energy than the Arduino UNO, there seems to be a way to cut down the power consumption my even more. http://www.home-automation-community.com/arduino-low-power-how-to-run-atmega328p-for-a-year-on-coin-cell-battery/
Sources that I used throughout the process: (I have consulted a lot more sources but these were the ones that were actually helpful)
• What comes next are data records, not part of the article:
=====
# 1
Entry from Materials Project: a relaxed Li2MnO2F crystal (PBE+U).

```
Li2MnO2F
1.0
-1.9282 -3.7072 2.9597
-1.8376 -4.1644 -2.3455
8.8224 -4.2717 -0.6546
Li Mn O F
8 4 8 4
Direct
0.5927 0.5927 0.7500
0.4073 0.4073 0.2500
0.9097 0.9097 0.7500
0.0904 0.0904 0.2500
0.2255 0.2255 0.7500
0.7745 0.7745 0.2500
0.0000 0.5001 0.9999
0.5000 0.0000 0.5001
0.3142 0.8645 0.9996
0.8646 0.3141 0.5004
0.1353 0.6861 0.4993
0.6861 0.1353 0.0006
0.1968 0.9367 0.6166
0.0631 0.8030 0.1170
0.9368 0.1968 0.8834
0.8030 0.0631 0.3830
0.5888 0.8930 0.8808
0.1073 0.4109 0.3804
0.8930 0.5888 0.6192
0.4109 0.1073 0.1196
0.2855 0.5504 0.8772
0.4497 0.7145 0.3770
0.5504 0.2855 0.6228
0.7146 0.4497 0.1230
```

total magnetization = 0.000 μB per atom
energy of formation from the pure elements = -231.7 kJ/mol of atoms
polymorph energy (0 for the lowest one) = 86.4 meV/atom

# 2
Entry from Materials Project: a relaxed Li3MnO2F2 crystal (PBE+U).

```
Li3MnO2F2
1.0
-4.7320 -0.0508 -3.6496
-0.1964 -5.9651 -0.3053
-7.5342 -3.1549 4.6387
Li Mn O F
12 4 8 8
Direct
0.5477 0.2970 0.1327
0.2970 0.5477 0.6327
0.1979 0.9473 0.3689
0.5440 0.8268 0.1249
0.1965 0.4399 0.3813
0.0708 0.8218 0.1238
0.9473 0.1979 0.8689
0.8268 0.5440 0.6249
0.4399 0.1965 0.8813
0.8218 0.0708 0.6238
0.6812 0.4412 0.3565
0.4412 0.6812 0.8565
0.0644 0.3002 0.1160
0.3002 0.0644 0.6160
0.6745 0.9399 0.3767
0.9399 0.6745 0.8767
0.8055 0.0520 0.1487
0.0520 0.8055 0.6487
0.2967 0.0777 0.1248
0.8383 0.5541 0.1085
0.0777 0.2967 0.6248
0.5541 0.8383 0.6085
0.4485 0.1815 0.3783
0.1815 0.4485 0.8783
0.4316 0.6794 0.3715
0.6794 0.4316 0.8715
0.9203 0.6894 0.3834
0.3126 0.5690 0.1307
0.6894 0.9203 0.8834
=====
Button: https://www.arduino.cc/en/tutorial/button
Input Pullup: Amy! and https://www.arduino.cc/en/Tutorial/InputPullupSerial
Servo: https://www.arduino.cc/en/reference/servo
Calculating torque required: https://en.wikipedia.org/wiki/Newton_metre
Parts: https://www.adafruit.com/
Arduino Pro Mini: https://www.arduino.cc/en/Guide/ArduinoProMini
http://www.instructables.com/id/Program-Arduino-Pro-Mini-Using-Arduino-Uno/ (MOST HELPFUL )
I love and am so impressed by your project! Great job figuring out the arduino mini board!
Thanks!!! Your handwash thing was awesome as well!!!!